Megatron Vs KingKong

[Next to the text, the page also holds materials data]
- - -
Below is Y2MgRh2 after structural relaxation, with properties calculated at the GGA-PBE level.

Unit cell a=4.7469 b=4.7469 c=6.3830 alpha=68.17 beta=68.17 gamma=90.00
With the nearest neighbours (Å) after each atom.
Element x y z (fractional)
Y: 0.2500 0.7500 0.5000  4 Rh 2.78
Y: 0.7500 0.2500 0.5000  4 Rh 2.78
Rh: 0.6158 0.6158 0.7683  1 Rh 2.52, 4 Y 2.78
Rh: 0.3842 0.3842 0.2317  1 Rh 2.52, 4 Y 2.78
Mg: 0.0000 0.0000 0.0000  8 Rh 3.58, 8 Y 3.61

**Spin magnetization**: 0.00 μB/f.u.
**Total energy**: -6.144 eV/atom
**Energy relative to the elements**: -0.299 eV/atom

---

Below is Ce12Os6Pb after structural relaxation, with properties calculated at the GGA-PBE level.

Unit cell a=8.4644 b=8.4644 c=8.4644 alpha=107.36 beta=107.36 gamma=107.36
With the nearest neighbours (Å) after each atom.
Element x y z (fractional)
Ce: 0.5780 0.5780 0.8421  3 Os 2.70-2.98
Ce: 0.8810 0.1190 0.5000  4 Os 2.84-2.98
Ce: 0.4220 0.4220 0.1579  3 Os 2.70-2.98
Ce: 0.4220 0.1579 0.4220  3 Os 2.70-2.98
Ce: 0.8810 0.5000 0.1190  4 Os 2.84-2.98
Ce: 0.5780 0.8421 0.5780  3 Os 2.70-2.98
Ce: 0.8421 0.5780 0.5780  3 Os 2.70-2.98
Ce: 0.1190 0.8810 0.5000  4 Os 2.84-2.98
Ce: 0.5000 0.8810 0.1190  4 Os 2.84-2.98
Ce: 0.1190 0.5000 0.8810  4 Os 2.84-2.98
Ce: 0.1579 0.4220 0.4220  3 Os 2.70-2.98
Ce: 0.5000 0.1190 0.8810  4 Os 2.84-2.98
Os: 0.6877 0.2673 0.2673  7 Ce 2.70-2.98
Os: 0.7327 0.3123 0.7327  7 Ce 2.70-2.98
Os: 0.3123 0.7327 0.7327  7 Ce 2.70-2.98
Os: 0.2673 0.2673 0.6877  7 Ce 2.70-2.98
Os: 0.7327 0.7327 0.3123  7 Ce 2.70-2.98
Os: 0.2673 0.6877 0.2673  7 Ce 2.70-2.98
Pb: 0.0000 0.0000 0.0000  6 Ce 3.74

**Spin magnetization**: 6.70 μB/f.u.
**Total energy**: -7.524 eV/atom
**Energy relative to the elements**: -0.035 eV/atom

---

Below is CrAgRu after structural relaxation, with properties calculated at the GGA-PBE level.

Unit cell a=2.7237 b=2.7237 c=6.8258 alpha=90.00 beta=90.00 gamma=120.00
With the nearest neighbours (Å) after each atom.
Element x y z (fractional)
Ru: 0.6667 0.3333 0.6370  3 Cr 2.48, 6 Ru 2.72
Cr: 0.3333 0.6667 0.3564  3 Ru 2.48, 6 Cr 2.72
Ag: 0.0000 0.0000 0.0065  6 Ag 2.72, 3 Cr 2.86, 3 Ru 2.97

**Spin magnetization**: 0.00 μB/f.u.
**Energy relative to the lowest polymorph listed for this composition**: 0.000 eV/atom
**Total energy**: -6.914 eV/atom
**Energy relative to the elements**: 0.336 eV/atom

---

Below is MgTiSiO5 after structural relaxation, with properties calculated at the GGA-PBE level.

Unit cell a=5.4469 b=5.4469 c=7.3184 alpha=73.19 beta=73.19 gamma=98.14
With the nearest neighbours (Å) after each atom.
Element x y z (fractional)
O: 0.4000 0.5747 0.2749  1 Ti 1.81, 1 Mg 1.99
O: 0.7479 0.8260 0.4143  1 Si 1.64
O: 0.1864 0.6328 0.6368  1 Si 1.65
O: 0.3162 0.7771 0.9244  1 Si 1.65
O: 0.2070 0.1399 0.6348  1 Si 1.63
O: 0.8260 0.7479 0.9143  1 Si 1.64
O: 0.6328 0.1864 0.1368  1 Si 1.65
O: 0.7771 0.3162 0.4244  1 Si 1.65
O: 0.1399 0.2070 0.1348  1 Si 1.63
O: 0.5747 0.4000 0.7749  1 Ti 1.81, 1 Mg 1.99
- - -

On this episode of #WhoWouldWin it’s the leader of the Decepticons vs the giant ape as Megatron takes on King Kong in a titanic battle!
#WhoWouldWin: Hawkeye vs Black Canary

Powered by RedCircle Hawkeye takes on Black Canary in the next episode of #WhoWouldWin! Does #Marvel’s ultimate archer (repped by James Gavsie) prevail or does DC Universe’s ultimate Bird of Prey (repped by Ray Stakenas) get the win? Who will special judge and Entertainment Blogger Cherry Davis see as the victor? Follow Cherry […]
#WhoWouldWin: S.H.I.E.L.D. vs Cobra.

In the next episode of #WhoWouldWin….#Shield takes on #Cobra in the ultimate team vs team battle! Will Ray Stakenas get #Cobra the victory or will James Gavsiehave the strategy to give #Shield the win? With special judge and host of Knowing is Half the Podcast, Robert Clarke-Chan Follow Robert Clarke-Chan on Twitter @999RPMs Powered […]
#WhoWouldWin: Chucky vs Tyrion Lannister

On the Next Episode of Who Would Win It’s Chucky vs Tyrion Lannister! Will the Game of Thrones ultimate survivor (repped by James Gavsie) win or will the murderous psycho doll (repped by Ray Stakenas) get the victory? With special judge Joseph Pleasants. Follow Joseph Pleasants on instagram at @joeyisfamous Powered by RedCircle This […]
#WhoWouldWin: Blade vs General Grievous
It’s Hunter vs Hunter as Blade takes on #General Grievous in another episode of #WhoWouldWin! Will the Jedi Hunter (repped by Ray Stakenas) win or will the Day Walker (repped by James Gavsie) take the victory? How will Loryn Stone judge this battle? This episode is brought to you by Final Draft! Final Draft has […]
#WhoWouldWin: Iron Giant Vs Solid Snake

# The text is interrupted by materials data
# 1
## Ga7Pd2Au2 (PBE)

Data for a geometry-optimized Ga7Pd2Au2 structure.

Unit cell a=5.6337 b=5.6337 c=6.8052 alpha=90.00 beta=90.00 gamma=105.05
Sites, in units of the cell vectors:
Ga  0.0000  0.0000  0.0000
Ga  0.0000  0.5000  0.3029
Ga  0.0000  0.5000  0.6971
Ga  0.5000  0.0000  0.3029
Ga  0.5000  0.0000  0.6971
Ga  0.5000  0.5000  0.2790
Ga  0.5000  0.5000  0.7210
Pd  0.2007  0.2007  0.5000
Pd  0.7993  0.7993  0.5000
Au  0.2935  0.7065  0.0000
Au  0.7065  0.2935  0.0000

Properties
SG: Cmmm, No. 65
Final energy: -40.6 eV per cell
Formation enthalpy at 0 K: -0.22 eV per atom
Total moment: 0.00 μB per cell
Crystal system: orthorhombic

# 2
## BaScAs2 (PBE)

Data for a geometry-optimized BaScAs2 structure.

Unit cell a=7.4168 b=7.4168 c=7.4168 alpha=90.00 beta=90.00 gamma=90.00
Sites, in units of the cell vectors:
Ba  0.0000  0.0000  0.0000
Ba  0.0000  0.5000  0.5000
Ba  0.5000  0.0000  0.5000
Ba  0.5000  0.5000  0.0000
Sc  0.0000  0.0000  0.5000
Sc  0.0000  0.5000  0.0000
Sc  0.5000  0.0000  0.0000
Sc  0.5000  0.5000  0.5000
As  0.2500  0.2500  0.2500
As  0.2500  0.2500  0.7500
As  0.2500  0.7500  0.2500
As  0.2500  0.7500  0.7500
As  0.7500  0.2500  0.2500
As  0.7500  0.2500  0.7500
As  0.7500  0.7500  0.2500
As  0.7500  0.7500  0.7500

Properties
SG: Fm-3m, No. 225
Final energy: -80.7 eV per cell
Formation enthalpy at 0 K: -0.65 eV per atom
Total moment: 0.00 μB per cell
Crystal system: cubic
E above lowest polymorph: 36.6 kJ/mol of atoms

# 3
## Tb3Pm5Cd (PBE)

Data for a geometry-optimized Tb3Pm5Cd structure.

Unit cell a=9.3684 b=9.3684 c=9.2395 alpha=114.38 beta=114.38 gamma=77.06
Sites, in units of the cell vectors:
Tb  0.0000  0.0000  0.0000
Tb  0.0000  0.0000  0.5000
Tb  0.3007  0.3007  0.2143
Tb  0.3562  0.3562  0.9062
Tb  0.6438  0.6438  0.0938
Tb  0.6993  0.6993  0.7857
Pm  0.0674  0.5980  0.3150
Pm  0.1839  0.1839  0.4239
Pm  0.2571  0.7429  0.0000
Pm  0.4020  0.9326  0.6850
Pm  0.4477  0.4477  0.6454
Pm  0.5523  0.5523  0.3546
Pm  0.5980  0.0674  0.3150
Pm  0.7429  0.2571  0.0000
Pm  0.8161  0.8161  0.5761
Pm  0.9326  0.4020  0.6850
Cd  0.1320  0.1320  0.8562
Cd  0.8680  0.8680  0.1438

Properties
SG: C2/m, No. 12
Final energy: -68.6 eV per cell
Formation enthalpy at 0 K: 0.47 eV per atom
Total moment: 0.00 μB per cell
Crystal system: monoclinic

# 4
## Na2ScHg2 (PBE)

Data for a geometry-optimized Na2ScHg2 structure.

Unit cell a=7.6710 b=7.6710 c=4.4882 alpha=90.00 beta=90.00 gamma=90.00
Sites, in units of the cell vectors:
Na  0.1632  0.3368  0.0000
Na  0.3368  0.8368  0.0000
Na  0.6632  0.1632  0.0000
Na  0.8368  0.6632  0.0000
Sc  0.0000  0.0000  0.5000
Sc  0.5000  0.5000  0.5000
Hg  0.1406  0.6406  0.5000
Hg  0.3594  0.1406  0.5000
Hg  0.6406  0.8594  0.5000
Hg  0.8594  0.3594  0.5000

Properties
SG: P4/mbm, No. 127
Final energy: -19.9 eV per cell
Formation enthalpy at 0 K: -0.07 eV per atom
Total moment: 0.00 μB per cell
Crystal system: tetragonal
E above lowest polymorph: 0.0 kJ/mol of atoms

# 5
## Cu2ReAu (PBE)
# So much for the materials data

And in 2 days in the next episode of #WhoWouldWin it’s…. #SolidSnake (repped by Ray Stakenas) vs the #IronGiant (repped by James Gavsie)! Does Metal Gear’s ‘hero’ win or does Vin Diesel’s Giant Robot get the victory? With special judge Chris Perfett Powered by RedCircle This episode is brought to you by Final […]
#WhoWouldWin: Dark Phoenix vs Kratos
And in the next episode of #WhoWouldWin…The #DarkPhoenix takes on #Kratos, the God of War, with special judge Marshall Givens. Will one of Gaming’s ultimate warriors be declared the victor or will one of Marvel Comics forces of nature, the Dark Phoenix, get the win? Powered by RedCircle This episode is brought to […]
#WhoWouldWin: Lobo vs He-Man

And in the next episode of #WhoWouldWin….It’s Lobo VS He-Man! Will the Main Man get the win or will the 80s Icon and original Master of the Universe pull out the victory? And who will special judge Philip Wilburn, the voice of DragonBall Z’s Android 19 choose as the winner? Powered by RedCircle […]
#WhoWouldWin: Arya Stark vs Damian Wayne

And in the next episode of #WhoWouldWin….It’s Arya Stark vs the latest Robin, Damian Wayne! Will one of the ultimate survivors of Game of Thrones win or will the killer instinct of Bruce Wayne’s son get the victory? And how will special judge, comedian, and improv genius Jesse Arlen Klein decide this battle? Powered by […]
#WhoWouldWin: Snake Eyes vs John Wick

And in this episode #WhoWouldWin…The Hit Man with a soft spot for dogs takes on GI Joe’s ultimate Ninja Warrior as John Wick fights Snake Eyes in another episode of #WhoWouldWin!Will Snake Eyes (repped by Ray Stakenos) get the win for the G.I. Joe team or will John Wick (repped by James Gavsie) get […]